Wednesday, September 17, 2014

• What comes next are molecular data, not part of the text:
~~~
1.
The following is a quantum chemistry calculation of C12H10ClN3Pd as an isolated structure at a distorted geometry, from OMol25.

Last column: Mulliken spin population.
Geometry (Å):
C  1.41  -1.59  0.81  0.36
C  1.31  -2.06  -0.54  -0.01
C  -0.07  -2.13  -0.89  0.27
H  2.19  -2.32  -1.14  0.00
C  -0.82  -1.62  0.23  0.26
C  0.10  -1.32  1.29  0.07
H  -0.14  -0.97  2.29  0.01
H  2.32  -1.49  1.40  0.00
H  -0.48  -2.39  -1.87  -0.01
H  -1.88  -1.49  0.32  0.01
Pd  0.38  0.82  -1.06  0.97
Cl  2.32  1.45  0.73  0.14
C  0.38  2.42  -2.23  0.17
C  -0.87  1.69  -2.35  0.18
C  -0.55  0.37  -2.80  0.09
H  -1.86  2.07  -2.09  0.03
C  0.86  0.28  -2.98  0.23
C  1.45  1.53  -2.61  0.17
H  2.50  1.74  -2.45  0.01
H  0.52  3.39  -1.77  0.02
H  -1.30  -0.40  -3.03  -0.01
H  1.39  -0.59  -3.35  0.01
N  -2.68  0.90  2.73  0.39
C  -2.36  0.91  3.86  -0.13
N  -2.08  1.03  5.13  0.48
C  -1.35  0.22  5.83  -0.13
N  -0.70  -0.46  6.54  0.39

net charge	0
expectation value of S²	6.06
multiplicity	5
HOMO-LUMO gap (alpha / beta)	7.98 / 4.15	eV
E_tot	-1215.312303	hartree
HOMO level (alpha / beta)	-7.5 / -8.3	eV

2.
The following is a quantum chemistry calculation of C5H9DyO3 as an isolated structure at a distorted geometry, from OMol25.

Last column: Mulliken spin population.
Geometry (Å):
H  -1.34  -3.02  1.48  0.09
O  1.24  1.33  -1.37  0.06
O  0.62  -0.44  -2.43  -0.21
C  0.56  0.10  -1.28  0.20
O  -0.02  -0.21  -0.27  0.02
C  1.32  2.21  -0.23  0.01
C  1.83  3.56  -0.68  0.00
H  0.31  2.29  0.20  0.00
H  1.98  1.75  0.50  0.00
H  1.09  4.09  -1.29  0.00
H  2.05  4.17  0.21  0.00
H  2.76  3.45  -1.26  0.00
Dy  1.65  0.85  -3.72  3.92
C  -1.90  -3.87  1.89  0.37
C  -3.23  -3.84  2.00  0.43
H  -1.33  -4.79  2.08  0.04
H  -3.81  -4.75  2.19  0.04
H  -3.78  -2.90  1.97  0.03

net charge	+2
expectation value of S²	9.78
multiplicity	6
HOMO-LUMO gap (alpha / beta)	9.23 / 3.79	eV
E_tot	-1305.999081	hartree
HOMO level (alpha / beta)	-16.8 / -15.7	eV

3.
The following is a quantum chemistry calculation of C17H34O2P2Zn as an isolated structure at a distorted geometry, from OMol25.

Last column: natural (NBO) charge in e.
Geometry (Å):
P  0.07  -0.76  -5.08  1.02
P  1.07  2.73  -3.68  0.74
C  0.13  0.96  -5.76  -0.74
C  1.33  1.78  -5.22  -0.74
H  -0.82  1.50  -5.57  0.23
H  0.27  0.89  -6.86  0.22
H  2.17  1.10  -4.96  0.23
H  1.68  2.48  -6.02  0.25
C  -0.75  2.73  -3.46  -0.96
H  -0.94  3.14  -2.46  0.29
H  -1.19  1.71  -3.48  0.26
H  -1.26  3.37  -4.21  0.24
C  1.62  4.48  -3.80  -0.93
H  1.45  5.05  -4.75  0.24
H  2.69  4.40  -3.62  0.25
H  1.15  4.98  -2.95  0.30
C  -0.92  -1.36  -6.60  -0.92
H  -0.79  -2.44  -6.70  0.23
H  -0.49  -0.85  -7.48  0.20
H  -2.00  -1.14  -6.60  0.22
C  1.56  -1.36  -6.04  -0.96
H  2.45  -1.19  -5.42  0.22
H  1.62  -0.82  -6.99  0.21
H  1.46  -2.44  -6.24  0.23
Zn  2.03  1.48  -2.30  1.30
C  -1.92  -0.83  -2.68  -0.15
C  -2.06  -0.86  -4.04  -0.30
C  -3.04  -2.02  -4.46  -0.40
C  -2.50  -3.31  -3.78  -0.47
C  -1.10  -3.58  -4.15  -0.19
~~~

Waste, Fraud and Abuse

A recent fraud conviction in Ohio made me think about the subject of medical billing in general. This was a significant case, in which a chiropractor plead guilty to workers' compensation fraud, a felony in Ohio. He was ordered to pay almost $400,000 in restitution. The break-down was about $60,000 in investigative costs and about 335,000 in actual restitution. 

Last January, another Ohio chiropractor plead guilty to workers' compensation fraud, this time a misdemeanor charge. He was ordered to pay almost $70,000 in restitution. The $70,000 included about $10,000 in actual restitution and almost $60,000 in investigative costs that the chiropractor must repay. 

Notice the similarity, it can be expensive to investigate medical billing issues. There is another interesting similarity between the cases. In each, the investigation began when regular people, patients, complained that they believed charges were being billed for services that were not rendered. The system, it seems, depends on every day people to be alert and communicative. 

These are not the biggest fraud cases you would see if you Googled "workers' compensation fraud." That search would include results with million-dollar stories. Such a search would also reveal smaller cases, like the chiropractor who was ordered to pay $1,977 in restitution. These billing challenges seem to know no boundaries and are not easily defined. These particular examples come from the field of chiropractic, but the problems certainly exists across the breadth of American medical care and is by no means limited to any specialty or practice. These are simply examples, and should not be seen as maligning this specialty.

Is such billing manipulation a real problem? Some say it is. Last spring, the Government Accountability Office (GAO) published a report on medical fraud, the focus was Medicare. Their title says much "Progress Made, but More Action Needed to Address Medicare Fraud, Waste, and Abuse." It concludes that Medicare annually spends about $604 billion to care for 51 million people. In 2013 they estimated that $50 billion of those payments were "improper" and "may be fraudulent." Only eight percent, but to paraphrase Everett Dirksen "50 billion here, 50 billion there, pretty soon you are talking about real money."

Look at it another way, what is $50 billion divided by the 51 million people served? Well, it is not quite $1,000 each, exactly $980.39. So, in 2013, the average Medicare recipient was the subject of almost $1,000 in "improper" or "may be fraudulent" charges. That is just the Medicare element. This does not address or consider that similar "improper" charges could have been made against health insurers, workers' compensation insurers, employers, and in many instances injured people who lack coverage and are responsible for their own bills.

In 2010, the Chief Counsel for the U.S. Department of Health and Human Services testified before the House Ways and Means Subcommittee on Health Oversight, regarding reducing "Fraud, Waste, and Abuse." He described that fraud schemes "commonly include billing for services that were not provided or were medically unnecessary." He says that other providers are "purposely billing for a higher level of services than what was provided." Some schemes allegedly misrepresent costs, involve kickbacks, or improperly use stolen identities for billing. He testified with specifics on a variety of improper payments and billing. See generally Fee Schedules, Reimbursements, and Medical Necessity in this blog. estimates that the United States spends $2 trillion on healthcare annually. They assert that between "$600 billion to $800 billion" is waste and of that "between $125 billion and $175 billion annually" is attributable to fraud. If they are correct, that is thirty to forty percent (30-40%) waste, including six to nine percent (6-9%) fraud. According to the Census Bureau, the U.S. population is 316 million, and 76.7 of those are over 18 years old, which yields about 242.4 million adults. Each American adult's share of the $800 billion waste is therefore about $3,299. 

This week, published a summary report on the efforts of the Ohio Bureau's Special Investigations Department team that focuses on fraud in the healthcare industry. Their focus included "pill mills and injury mills." They "referred 32 subjects for criminal prosecution, 300 percent more than last year." According to their report, the team identified "$19.5 million in savings for Ohio's workers' compensation system." If each state had similar figures, it would amount to almost one billion dollars per year in workers' compensation savings alone. 

Is the current enforcement effort sufficient? Are the perpetrators generally being caught, or is there more out there that should concern us?'s website may be supportive of the hypothesis above, that every day people will have to play a role in stopping waste. It recommends that "consumers need to closely read the explanation of benefits (EOB) forms that health insurers sent to policyholders." They lament, however, that these explanations are not easy to read or understand. They cite one source as supporting that almost 70% of these EOB forms "confuse people who receive them." Thus, reliance on the patients may not be a complete solution.

For instances of fraud against federal programs like Medicare and Medicaid, there is a whistleblower statute. Such a law allows private citizens to sue those whom they believe are committing such offenses, and the private citizen who prevails gets to keep some of the recovered money. There are also online reporting tools such as the Medicare website and Florida's Department of Financial Services site which also has an online tool for reporting insurance fraud. These tools may allow and encourage those working in the medical industry to report abusers.

Illinois has a state whistleblower statute as well. Workcompcentral reported this week that a Cook County Judge interpreted that statute as empowering such lawsuits "only for unlawful kickback schemes, not other forms of insurance fraud." The issue is before the Illinois Appellate Court now in State of Illinois ex rel Zolna-Pitts v. ATI Holdings. In that instance, a physical therapist was allegedly instructed by her employer to bill in "15-minute increments" for tasks that she performed "for only five minutes," which "effectively tripled the amount of services provided." More accurately, it seems like this tripled the amount billed and the amount performed remained five minutes. 

That instruction reminds me of a defense lawyer I once knew who insisted that unit billing was appropriate and that insurance companies expected to be billed without regard to any efficiency of scale that might be involved. That is, he believed that if you drove an hour to an adjoining county and worked there on three cases, the two hours of total commute time should be billed to each client. He explained to me that the insurance companies were not smart enough to understand if you billed them two hours for the trip this week when they were the only case you were working on and then billed them only 40 minutes for the same commute next week when you worked on three client's needs during a similar trip.

Would state laws enabling whistleblower status for private citizens lead to less "improper" or "may be fraudulent" activity? Would that entice more industry insiders to take a stand against "improper" or "may be fraudulent?" Should it matter if the source or problem is allegedly misrepresented costs, kickbacks, or improper use of stolen identities for billing? Is it really comprehensible that there is an $800 billion problem and something more is not being done? Perhaps it is not the magnitude of the problem that it is being portrayed to be?